People always say “have a good flight” or “have a safe flight” but what does that really mean, and how much of it is under our control? You can tell me to have a safe flight all day long, but I am not exactly flying the plane, so why say it? Everything may not be in your control, but you can improve your odds in both safety and comfort. Many times, you can do this without adding too much to the cost of your flight.
I have experienced opposite ends of the spectrum. I have been on terrible flights. Picture sitting in the middle, with a giant Scandinavian, who takes the arm rest. As a side, everyone knows the middle guy gets all the arm rests, if you didn’t, now you do. I have been on amazing flights, where I was treated like a king. This one may be cheating, since my wife upgraded us to first class going to Istanbul. Remove the unknown, slightly gut-wrenching cost of first class, you can have a good flight, even in economy. You need to remember some basic rules. Below are some tips I’ve picked up on how to have a good flight. Also, if you are not the pilot, how to have a safe flight, (or at least safer).
How to Have A Good Flight: Pack the Right Gear
(Calculated crystals, kept here for reference)
Record 1
Calculated XRD peak list of Y2BiPtBr for CuKα, from a crystal structure in Alexandria, relaxed with PBE.
Neutral-atom scattering factors, no anomalous dispersion.

Principal peaks in the range 10 to 90 degrees two-theta, by angle:
23.94°, I = 29; 29.12°, I = 100; 32.99°, I = 32; 34.12°, I = 59; 41.18°, I = 15; 48.19°, I = 44; 49.02°, I = 21; 56.56°, I = 16; 58.04°, I = 29; 60.36°, I = 23; 78.06°, I = 12; 79.47°, I = 10

Atomic structure:
Cell: 5.256 5.256 5.430 Å, 90.00 90.00 90.00°
Space group P4/mmm (No. 123)
Inequivalent atoms, fractional coordinates:
Y1 0.000 0.500 0.000
Bi1 0.000 0.000 0.500
Pt1 0.500 0.500 0.500
Br1 0.000 0.000 0.000

=====

Record 2
Calculated XRD peak list of SbH3NF6 for CuKα, from a crystal structure in Alexandria, relaxed with PBE.
Neutral-atom scattering factors, no anomalous dispersion.

Principal peaks in the range 10 to 90 degrees two-theta, by angle:
14.43°, I = 22; 15.51°, I = 37; 16.32°, I = 30; 16.57°, I = 42; 20.67°, I = 100; 21.79°, I = 62; 21.90°, I = 83; 23.37°, I = 50; 24.70°, I = 87; 40.57°, I = 30; 40.84°, I = 28; 41.90°, I = 37

Atomic structure:
Cell: 7.632 12.273 10.945 Å, 90.00 93.91 90.00°
Space group C2/c (No. 15)
Inequivalent atoms, fractional coordinates:
Sb1 0.000 0.000 0.000
Sb2 0.000 0.351 0.250
H1 0.025 0.251 0.653
H2 0.108 0.381 0.662
H3 0.113 0.362 0.858
N1 0.005 0.331 0.684
F1 0.033 0.114 0.621
F2 0.070 0.348 0.422
F3 0.113 0.091 0.389
F4 0.162 0.467 0.221
F5 0.180 0.248 0.220
F6 0.223 0.065 0.051

=====

Record 3
Calculated XRD peak list of Tb7Sm3Ho for CuKα, from a crystal structure in Alexandria, relaxed with PBE.
Neutral-atom scattering factors, no anomalous dispersion.

Principal peaks in the range 10 to 90 degrees two-theta, by angle:
31.39°, I = 35; 31.58°, I = 40; 31.69°, I = 80; 31.84°, I = 100; 32.13°, I = 24; 32.24°, I = 79; 32.84°, I = 81; 46.15°, I = 18; 52.49°, I = 18; 57.12°, I = 23; 57.92°, I = 31; 62.99°, I = 32

Atomic structure:
Cell: 6.973 5.553 9.986 Å, 90.00 109.87 90.00°
Space group P2/m (No. 10)
Inequivalent atoms, fractional coordinates:
Tb1 0.000 0.000 0.000
Tb2 0.146 0.500 0.290
Tb3 0.322 0.500 0.638
Tb4 0.419 0.000 0.829
Sm1 0.000 0.000 0.500
Sm2 0.281 0.500 0.998
Ho1 0.500 0.000 0.500

=====

Please write out number 2 again, unchanged.
Calculated XRD peak list of SbH3NF6 for CuKα, from a crystal structure in Alexandria, relaxed with PBE.
Neutral-atom scattering factors, no anomalous dispersion.

Principal peaks in the range 10 to 90 degrees two-theta, by angle:
14.43°, I = 22; 15.51°, I = 37; 16.32°, I = 30; 16.57°, I = 42; 20.67°, I = 100; 21.79°, I = 62; 21.90°, I = 83; 23.37°, I = 50; 24.70°, I = 87; 40.57°, I = 30; 40.84°, I = 28; 41.90°, I = 37

Atomic structure:
Cell: 7.632 12.273 10.945 Å, 90.00 93.91 90.00°
Space group C2/c (No. 15)
Inequivalent atoms, fractional coordinates:
Sb1 0.000 0.000 0.000
Sb2 0.000 0.351 0.250
H1 0.025 0.251 0.653
H2 0.108 0.381 0.662
H3 0.113 0.362 0.858
N1 0.005 0.331 0.684
F1 0.033 0.114 0.621
F2 0.070 0.348 0.422
(Here the page continues)
If you want to be comfortable on a flight, you need to prep for it; spending 13 hours with no entertainment will test even the most patient man (or couple). There have been too many advances in technology for someone to be bored while flying. Below are some of the things I pick up to make my trip more bearable.
- Mpow 059 Bluetooth Headphones Over Ear, Hi-Fi Stereo Wireless Headset – Kind of hard to have a good flight with some slacked jawed idiot yapping in your ear about turnips (or whatever slacked jawed idiots talk about). Cut out the sound with noise cancelling head phones. No need to spend $350 on something if a $40 pair can do the same thing.
Of course, I do have the expensive ones, the below pair are Beats and I love them. So if you are have the cash you can go for the Beats Solo3 Wireless On-Ear Headphones – Black
2. Anker PowerCore II 10000 – Nothing worse than having 10 hours of Netflix on your iPad and having no juice to watch your series. This charger works with both Samsung and Apple products (because neither company could make it easy on us and use the same plug). There are a ton of different types on the market, this one is more than effective.
3. SkySiesta SNUG Travel Pillow- Two L-Shaped, Fiber Filled Head Supports, Bag, Eye Mask Half way through a long flight you should be nice and boozed up, it is a perfect time to take a nap. Some airlines won’t even give you a pillow, so a nice neck pillow will come in handy. Of course, you can buy them in the airport, but they are overpriced. Just look how comfortable this lady is with this newfangled model. If she were anymore asleep from that thing you would think a certain famous comedian was a flight attendant!
4. Men’s Comfort Knitted Cotton Slippers Comfortable footwear is crtical to helping you have a safe trip (which I will explain later), slippers are great for walking around the cabin. No one wants to keep their shoes on during a 9-hour flight. Also no one wants to see your bare feet or socks..
# Materials data from another source follow
********
[1]
Calculated powder diffraction line list
Compound: Ba2Ca3Tl2Fe4O12
Radiation: Cu Kα X-rays
Structure: a DFT-relaxed cell (PBE+U, the Materials Project)
Intensities are scaled so that the largest is 100.

Structure:
```
data_Ba2Ca3Tl2Fe4O12
_chemical_formula_sum 'Ba4 Ca6 Tl4 Fe8 O24'
_symmetry_space_group_name_H-M 'I 4/m m m'
_symmetry_Int_Tables_number 139
_symmetry_space_group_name_Hall '-I 4 2'
_cell_length_a 3.993
_cell_length_b 3.993
_cell_length_c 42.569
_cell_angle_alpha 90.00
_cell_angle_beta 90.00
_cell_angle_gamma 90.00
loop_
_atom_site_label
_atom_site_type_symbol
_atom_site_fract_x
_atom_site_fract_y
_atom_site_fract_z
Ba1 Ba 0.000 0.000 0.160
Ca1 Ca 0.000 0.000 0.000
Ca2 Ca 0.000 0.000 0.075
Tl1 Tl 0.000 0.000 0.277
Fe1 Fe 0.000 0.000 0.389
Fe2 Fe 0.000 0.000 0.460
O1 O 0.000 0.000 0.226
O2 O 0.000 0.000 0.326
O3 O 0.000 0.500 0.036
O4 O 0.000 0.500 0.110
```

Largest 8 diffraction maxima, in order of rising 2θ, 10° ≤ 2θ ≤ 80°:
2θ/deg	Rel. int.
26.71	77.5
29.27	100.0
31.69	99.3
31.97	33.0
32.21	52.0
45.43	57.3
50.33	28.2
54.96	36.3

[2]
Calculated powder diffraction line list
Compound: BaCaFeWO6
Radiation: Cu Kα X-rays
Structure: a DFT-relaxed cell (PBE+U, the Materials Project)
Intensities are scaled so that the largest is 100.

Structure:
```
data_BaCaFeWO6
_chemical_formula_sum 'Ba4 Ca4 Fe4 W4 O24'
_symmetry_space_group_name_H-M 'F -4 3 m'
_symmetry_Int_Tables_number 216
_symmetry_space_group_name_Hall 'F -4 2 3'
_cell_length_a 8.084
_cell_length_b 8.084
_cell_length_c 8.084
_cell_angle_alpha 90.00
_cell_angle_beta 90.00
_cell_angle_gamma 90.00
loop_
_atom_site_label
_atom_site_type_symbol
_atom_site_fract_x
_atom_site_fract_y
_atom_site_fract_z
Ba1 Ba 0.000 0.000 0.000
Ca1 Ca 0.000 0.000 0.500
Fe1 Fe 0.250 0.250 0.750
W1 W 0.250 0.250 0.250
O1 O 0.005 0.250 0.250
```

Largest 8 diffraction maxima, in order of rising 2θ, 10° ≤ 2θ ≤ 80°:
2θ/deg	Rel. int.
19.01	35.6
31.30	100.0
36.88	20.1
44.85	32.4
49.12	8.8
55.70	39.3
65.29	19.5
74.19	17.0

[3]
Calculated powder diffraction line list
Compound: Ba2CaY2Fe4O10
Radiation: Cu Kα X-rays
Structure: a DFT-relaxed cell (PBE+U, the Materials Project)
Intensities are scaled so that the largest is 100.

Structure:
```
data_Ba2CaY2Fe4O10
_chemical_formula_sum 'Ba2 Ca1 Y2 Fe4 O10'
_symmetry_space_group_name_H-M 'P m m 2'
_symmetry_Int_Tables_number 25
_cell_length_a 3.844
_cell_length_b 8.150
_cell_length_c 9.903
_cell_angle_alpha 90.00
_cell_angle_beta 90.00
_cell_angle_gamma 90.00
loop_
_symmetry_equiv_pos_as_xyz
'x,y,z'
'-x,-y,z'
'-x,y,z'
'x,-y,z'
loop_
_atom_site_label
_atom_site_type_symbol
_atom_site_fract_x
_atom_site_fract_y
_atom_site_fract_z
Ba1 Ba 0.000 0.236 0.000
Ca1 Ca 0.000 0.500 0.282
Y1 Y 0.000 0.224 0.606
Fe1 Fe 0.500 0.000 0.419
Fe2 Fe 0.500 0.000 0.801
Fe3 Fe 0.500 0.500 0.504
Fe4 Fe 0.500 0.500 0.798
O1 O 0.000 0.000 0.467
O2 O 0.000 0.000 0.752
O3 O 0.000 0.500 0.531
O4 O 0.000 0.500 0.857
O5 O 0.500 0.000 0.010
O6 O 0.500 0.255 0.455
O7 O 0.500 0.260 0.746
********
# So much for the materials data
Choose Your Seat Wisely
Not everyone can fly first class, I almost never do.. I opt to spend my money on eating, drinking, and being merry when I get to my destination. Having said this, I cannot have a good flight if I am sitting in the middle, it just won’t happen. I also don’t like the window, only because I am boxed in and I get claustrophobic. Everyone’s idea of a good seat is different, the important thing is you have to choose it wisely. Some airlines charge you to pick a seat, even in coach…a despicable practice. Others don’t, so shop around.
I have three criteria when picking a seat, first, I like the aisle, I go for that above anything else. Second, I like to be close to the front, so I can get off quickly. Lastly, I look for spots with no one else next to me if I am travelling alone. If only I could get a picture of the people on the plane and where they are sitting it would make my life easier. This way I can avoid earlier mentioned giant Scandinavians who will need two arm rests.
I once had the misfortune of sitting at the back, in the middle, right near the bathroom. Worse yet, the airline must have had a special chili dinner, let’s just say the experience was less than desirable. Moral of the story, take some time to learn your airlines seat choosing policy and pick your seat ahead of time.
Upgrade if You Can
As mentioned most of the time upgrading can be expensive. We are talking thousands of dollars for a trip. I have flown first class to Europe, it is nice, it isn’t worth $1000 extra dollars. I like money too much. Having said this, there are some tricks the can work. First, check seat availability at the gate on your phone, if first has open spaces ask the ticket agent right before boarding, there may be some incredible deals. If half of first class is open 10 minutes before boarding, you will be surprised how cheap an upgrade can be…
Also, you don’t have to upgrade all the way to first class to have a good trip, many times premium plus (or something equivalent to this) is available. Many out there will tell you that the upgrade isn’t worth the cost. Sometimes it is just an extra six inches of leg space. Six inches might not sound like a lot, but it makes a world of difference in terms of comfort. (Insert joke here..)
Choose a Better Flight Time
Flying at weird times can equal a half empty plane. On our first trip to Prague, we were close to upgrading our flight. Then we were informed that we had the whole row to ourselves. You can do a lot with 3 extra seats and it made the long flight extremely bearable. This is a gamble, but it is worth a try. The less crowded the flight the more likely you are to have a good flight…because let’s face it, people can be awful.
Have a Safe Flight
Let’s move on to flight safety for a minute, because it is something you can control. To have a good flight, you need to have a safe flight. I used to think when someone said “have a safe flight” they were crazy, given I am a terrible pilot. There are dangers and risks on a flight that are not as obvious as what most people fear. Odds are you will take off and land safety.
I am more worried about getting sick from something I catch on the flight then a crash. Nothing would suck more than getting to your destination, only for the germs from the person sneezing on you to make you too ill to enjoy it. You can’t eliminate of all the dangers, but you can tilt thing in your favor.
#1 Rule to Have a Safe Flight:
Don’t Eat the Food

Gordon Ramsey puts in eloquently in this article, I tend to agree. In reality, the food served on a plane is disgusting (see above picture). There are no other circumstances that I can think of where people so mindlessly eat such low-quality food. Ok, maybe at Arby’s, but even that is better. Plane food is the culinary equivalent of a train wreck. Wherever you are going the food will be better. No need to waste stomach real estate on sub-par food.
Worse than being disgusting, it can be dangerous. The meals are made up to 72 hours in advance and are reheated. All of this with the some of the worst grade food and created by non-culinary experts. There are other options, other than eating the monstrosity that they serve.
- Maybe it is time to practice intermittent fasting: If you are going to be flying for 8 hours, you can always just not eat. You do it every night anyway, when sleeping. I think it is better to not eat then to get Botulism. Plus, your taste buds actually change (get dull) when in the air, although this might be for the best after glancing at the above picture a second time.
- Pack a light snack: I don’t think most people know that you can bring just about any (no large container of liquids) food onto a plane. Pack a sandwich or a snack and eat it throughout the trip. I am sure you can make something that is better than what is being served. Just don’t bring sardines or a strong garlic and tuna hero, you want your fellow passengers to have a good flight as well.
- Get Sloshed– This is self-explanatory, but you can always drink your way to fullness. It has the added benefit of killing the bacteria from any airplane food you may have consumed. If you are flying domestic, you can bring the little bottles of alcohol onto the plane to save cost. You need to use a plastic bag as with all liquids you carry on.
# Inserted here: crystal structures
+++
Entry 1:
This entry pairs a crystal structure of SnTe2O4 with its calculated PXRD pattern. Radiation: CuKα. Structure: the PBE geometry in the Materials Project.
Peak positions follow from Bragg's law for the DFT cell and can differ from measured ones.

The 10 most intense peaks (15 to 90 degrees two-theta), in order of falling intensity:
2θ = 29.73°, intensity 100
2θ = 30.01°, intensity 59
2θ = 53.12°, intensity 41
2θ = 42.96°, intensity 30
2θ = 52.59°, intensity 22
2θ = 61.75°, intensity 18
2θ = 42.14°, intensity 14
2θ = 86.34°, intensity 12
2θ = 85.92°, intensity 11
2θ = 85.22°, intensity 11

Atomic structure:
Unit cell a=7.0892 b=7.0892 c=7.0892 alpha=145.45 beta=145.45 gamma=49.67
Element x y z (fractional)
Sn  0.0000  0.0000  0.0000
Te  0.3415  0.3415  0.0000
Te  0.6585  0.6585  0.0000
O  0.0000  0.5000  0.5000
O  0.1913  0.1913  0.0000
O  0.5000  0.0000  0.5000
O  0.8087  0.8087  0.0000

Entry 2:
This entry pairs a crystal structure of SnTe3O8 with its calculated PXRD pattern. Radiation: CuKα. Structure: the PBE geometry in the Materials Project.
Peak positions follow from Bragg's law for the DFT cell and can differ from measured ones.

The 10 most intense peaks (15 to 90 degrees two-theta), in order of falling intensity:
2θ = 27.00°, intensity 100
2θ = 19.00°, intensity 35
2θ = 31.28°, intensity 32
2θ = 44.82°, intensity 28
2θ = 29.21°, intensity 23
2θ = 53.11°, intensity 23
2θ = 33.23°, intensity 15
2θ = 86.83°, intensity 13
2θ = 40.20°, intensity 12
2θ = 60.57°, intensity 12

Atomic structure:
Unit cell a=9.9069 b=9.9069 c=9.9069 alpha=109.47 beta=109.47 gamma=109.47
Element x y z (fractional)
Sn  0.0000  0.0000  0.0000
Sn  0.0000  0.5000  0.5000
Sn  0.5000  0.0000  0.5000
Sn  0.5000  0.5000  0.0000
Te  0.0515  0.3015  0.7500
Te  0.1985  0.2500  0.4485
Te  0.2500  0.4485  0.1985
Te  0.2500  0.9485  0.6985
Te  0.3015  0.7500  0.0515
Te  0.4485  0.1985  0.2500
Te  0.5515  0.8015  0.7500
Te  0.6985  0.2500  0.9485
Te  0.7500  0.0515  0.3015
Te  0.7500  0.5515  0.8015
Te  0.8015  0.7500  0.5515
Te  0.9485  0.6985  0.2500
O  0.0000  0.1702  0.5000
O  0.0000  0.8298  0.5000
O  0.0236  0.0715  0.2337
O  0.0479  0.4764  0.7100
O  0.0715  0.2337  0.0236
O  0.1622  0.4285  0.4521
O  0.1702  0.5000  0.0000
O  0.2100  0.7337  0.6622
O  0.2337  0.0236  0.0715
O  0.2663  0.3378  0.7900
O  0.2900  0.9521  0.5236
O  0.3298  0.3298  0.3298
O  0.3378  0.7900  0.2663
O  0.4285  0.4521  0.1622
O  0.4521  0.1622  0.4285
O  0.4764  0.7100  0.0478
O  0.5000  0.0000  0.1702
O  0.5000  0.0000  0.8298
O  0.5236  0.2900  0.9521
O  0.5478  0.8378  0.5715
O  0.5715  0.5478  0.8378
O  0.6622  0.2100  0.7337
O  0.6702  0.6702  0.6702
O  0.7100  0.0479  0.4764
O  0.7337  0.6622  0.2100
O  0.7663  0.9764  0.9285
O  0.7900  0.2663  0.3378
O  0.8298  0.5000  0.0000
O  0.8378  0.5715  0.5478
O  0.9285  0.7663  0.9764
O  0.9521  0.5236  0.2900
O  0.9764  0.9285  0.7663

Entry 3:
+++
#2 Rule to Have a Safe Flight:
Clean Your Space
While we are on the subject of health, it is safe to say people are gross. Get on the plane, look around, how many of those people do you trust to shake your hand? The bathroom sinks in the plane can’t handle the grossness. You need to combat this festering, disease ridden, environment the best you can.
Two pieces of advice:
A. Bring Hand Sanitizer such as CleanWell Alcohol Free Natural Hand Sanitizer Ð .
B. Sanitize the rest of the area with Sani-Cloth Alcohol-Free Disinfectant Wipe Singles – Box of 50
Scrub the crap out of anything you might touch, and your hands. This way that sneezing lady, gross kid or the big dude who “forgot” to wash his hands in the bathroom can’t get you sick. Staying healthy is key for you to have a safe flight.
Addition April, 2020: Another obvious update in Spring 2020, masks help. They certainly give you some protection of the diseases floating in the recirculated air….if you can find them. Even after Covid-19, wearing a mask on a blame will stop the spread of all kinds of diseases.
Walk Around
Blood clots are a rare, but real danger when flying. Some of you are more prone than others to blood clots, so of course ask your doctor about the best way to handle this. Make sure you are aware of the dangers even if you don’t have any known blood clot risks. Walk around as much as possible, probably best to get up at least once an hour to keep the circulation flowing. This is why I mentioned slippers earlier in this post (now you will look twice at them). you can strut around the plane without feeling grossed out.
Pay Attention to Security Messages
I guess if I am telling you how to have a safe flight, I should touch on the security message at the beginning of the flight. I hope you never have to use their advice, but it probably best to at least pay some attention to what they are saying and where the exits are. Of course, any kind of accident and one could say that you didn’t have a safe flight. If paying attention helps you walk away from a bad situation, all the better.
If you want to have a good trip you need to take care of comfort and safety. You can’t just wander onto a plane and hope that everything will work out, there are too many variables. I know this advice seems like common sense, but a lot it is overlooked. Bring the right gear, stay healthy and upgrade if you can, that will help stack the odds in your favor. Even if you don’t have a good flight, remember you are (hopefully) going someplace fun, which makes it worth the headache. So, enjoy and have a safe flight!